**Work order**
Could you work out how many lines further below have the word "with" in them; a number is enough?

**File**
# 1
A single C5H5NO molecule in a non-equilibrium geometry, computed with wB97M-V/def2-TZVPD.

```
12
Properties=species:S:1:pos:R:3
H -3.92019 0.54088 0.61869
N -2.82166 0.54282 0.32897
C -2.29664 -0.61669 0.19655
C -0.96247 -0.72424 -0.21931
C 0.24854 -0.61600 -0.34345
O 1.11102 -0.64126 0.73691
C 2.05727 0.32090 0.45707
C 2.35587 0.65759 -0.80304
H -2.79849 -1.56014 0.21474
H 2.56004 0.82582 1.39433
H 3.19161 1.16878 -1.34279
H 1.27510 0.10153 -1.23868
```

* SMILES: [H]/N=C/C#COC=C
* frontier orbital gap (spin up / spin down): 7.920 / 7.918 eV
* highest occupied orbital energy (spin up / spin down): -8.98 / -8.98 eV
* spin multiplicity: 1

Löwdin atomic charge list, values in e, 4 entries: atom 1 (H): 0.118, atom 2 (N): 0.088, atom 3 (C): -0.274, atom 4 (C): 0.054

---

# 2
A single C5H5NO molecule in a non-equilibrium geometry, computed with wB97M-V/def2-TZVPD.

```
12
Properties=species:S:1:pos:R:3
N 3.49530 -0.17283 0.23634
C 2.42465 -0.26509 -0.19479
C 1.05261 -0.22445 -0.57717
C 0.11662 -1.07841 -0.14046
C -1.11023 -0.38705 0.32350
C -1.31396 1.00292 0.01405
O -2.37717 -0.06150 -0.14058
H 0.74670 0.65823 -1.13127
H 0.34968 -2.03962 0.30797
H -1.10542 -0.58434 1.39835
H -1.11703 1.45557 -0.94925
H -1.16175 1.69658 0.85333
```

* SMILES: N#C/C=C/[C@H]1CO1
* frontier orbital gap: 9.940 eV
* highest occupied orbital energy: -10.19 eV
* spin multiplicity: 1

Löwdin atomic charge list, values in e, 4 entries: atom 1 (N): 0.147, atom 2 (C): -0.213, atom 3 (C): -0.101, atom 4 (C): -0.003

---

# 3
A single C5H5NO molecule, computed with wB97M-V/def2-TZVPD.

```
12
Properties=species:S:1:pos:R:3
O 1.32747 -1.40365 2.56392
C 0.20006 -0.91233 -1.20524
C -1.09045 -0.44523 -0.55158
C -0.36240 0.75497 0.10858
C 0.72047 0.49649 -0.97152
C 0.16877 0.31553 1.41186
N 0.74264 -0.54990 1.95173
H -1.73408 -0.12093 -1.38169
H -1.65948 -1.14501 0.06828
H -0.85534 1.72914 0.16407
H 1.77753 0.64427 -0.72970
H 0.50167 1.04055 -1.90149
```

* frontier orbital gap: 8.411 eV
* highest occupied orbital energy: -8.96 eV
* spin multiplicity: 1

Löwdin atomic charge list, values in e, 4 entries: atom 1 (O): 0.029, atom 2 (C): 0.115, atom 3 (C): -0.196, atom 4 (C): -0.277

---

# 4
A single C5H5NO molecule in a non-equilibrium geometry, computed with wB97M-V/def2-TZVPD.

```
12
Properties=species:S:1:pos:R:3
N -2.78267 -0.45494 0.54577
C -1.63489 -0.55210 0.65377
C -0.19871 -0.64185 0.79940
C 0.58420 0.63118 0.90431
C 0.71465 -0.20693 -0.33778
C 0.16758 0.30167 -1.63173
O 0.72895 0.11832 -2.68429
H 0.13812 -1.50068 1.37258
H 0.01758 1.55461 0.82772
H 1.42342 0.66398 1.59105
H 1.61953 -0.79389 -0.45983
H -0.77776 0.88064 -1.58097
```

* SMILES: N#C[C@@H]1C[C@@H]1C=O
* frontier orbital gap: 11.045 eV
* highest occupied orbital energy: -10.34 eV
* spin multiplicity: 1

Löwdin atomic charge list, values in e, 4 entries: atom 1 (N): 0.158, atom 2 (C): -0.195, atom 3 (C): -0.226, atom 4 (C): -0.055

---

# 5
A single C5H5NO molecule in a non-equilibrium geometry, computed with wB97M-V/def2-TZVPD.

```
12
Properties=species:S:1:pos:R:3
C 0.56147 2.16781 -0.69892
C 1.54035 1.72829 -0.10581
C 0.96316 -0.59903 0.46787
C -0.28895 -0.70396 0.29046
C -1.54668 -1.23481 0.28398
N -2.15379 -1.44403 -0.80394
O 1.89949 0.47986 0.38536
H -0.42877 2.17690 -0.98517
H 2.42547 2.37357 -0.12841
H 1.69257 -1.40998 0.81136
H -1.82789 -1.36340 1.35529
H -2.83644 -2.17121 -0.87207
```

* frontier orbital gap (spin up / spin down): 7.576 / 8.700 eV
* highest occupied orbital energy (spin up / spin down): -8.92 / -8.99 eV
* spin multiplicity: 1

Löwdin atomic charge list, values in e, 4 entries: atom 1 (C): 0.171, atom 2 (C): -0.294, atom 3 (C): -0.126, atom 4 (C): 0.033

---

# 6
A molecular structure, C5H5NO in a non-equilibrium geometry, computed with wB97M-V/def2-TZVPD.

```
12
Properties=species:S:1:pos:R:3
N 2.86691 1.25653 0.28481
C 1.99232 0.49933 0.28753
C 0.90909 -0.50644 0.30025
O 0.06223 -0.35020 1.45417
C -1.05362 -0.29120 0.58905
C -1.10136 0.86556 -0.33367

**Here it is**
6